**Source**
This record from Alexandria describes BaOsAu2Br after structural relaxation. The functional is GGA-PBE.

Calculated values
formation energy without anion corrections	0.211	eV per atom
DFT total energy	-4.065	eV per atom

abc: 4.977 4.977 6.531
angles: 90.00 90.00 90.00
Element x y z (fractional)
1 Ba 0.000 0.000 0.000
2 Os 0.000 0.000 0.500
3 Au 0.000 0.500 0.500
4 Au 0.500 0.000 0.500
5 Br 0.500 0.500 0.000

~~~~~

No. 1
## DySc3Sn3 (GGA-PBE)

Data for a relaxed DySc3Sn3 crystal.

Unit cell a=8.6896 b=8.6896 c=5.2079 alpha=90.00 beta=90.00 gamma=120.00
With the nearest neighbours (Å) after each atom.
Space group P6_3/m (No. 176)
Inequivalent atoms, fractional coordinates:
Dy (0.3333, 0.6667, 0.2500) [2 per cell]  9 Sn 3.18-3.35, 3 Sc 3.40
Sc (0.0094, 0.7773, 0.2500) [6 per cell]  3 Sn 2.87-3.08
Sn (0.0752, 0.6303, 0.7500) [6 per cell]  3 Sc 2.87-3.08, 1 Dy 3.18

Calculated values
For the volume, the calculation gives 24.33 Å³/atom. The electronic total energy is -0.2061 Ha/atom.

No. 2
## DyScSn2 (GGA-PBE)

Data for a relaxed DyScSn2 crystal.

Unit cell a=4.7415 b=4.7415 c=4.3728 alpha=90.00 beta=90.00 gamma=90.00
With the nearest neighbours (Å) after each atom.
Space group P4/mmm (No. 123)
Inequivalent atoms, fractional coordinates:
Dy (0.0000, 0.0000, 0.0000) [1 per cell]  8 Sn 3.23, 4 Sc 3.35
Sc (0.5000, 0.5000, 0.0000) [1 per cell]  8 Sn 3.23, 4 Dy 3.35
Sn (0.0000, 0.5000, 0.5000) [2 per cell]  4 Dy 3.23, 4 Sc 3.23, 4 Sn 3.35

Calculated values
For the volume, the calculation gives 24.58 Å³/atom. The electronic total energy is -0.1950 Ha/atom.

No. 3
## DySc5Sn3 (GGA-PBE)

Data for a relaxed DySc5Sn3 crystal.

Unit cell a=8.8076 b=8.8076 c=6.2699 alpha=90.00 beta=90.00 gamma=120.00
With the nearest neighbours (Å) after each atom.
Space group P6_3/mcm (No. 193)
Inequivalent atoms, fractional coordinates:
Dy (0.0000, 0.0000, 0.0000) [2 per cell]  2 Dy 3.13, 6 Sc 3.35, 6 Sn 3.35
Sc (0.0000, 0.3358, 0.2500) [6 per cell]  5 Sn 2.89-3.13
Sc (0.3333, 0.6667, 0.0000) [4 per cell]  8 Sc 3.13-3.32, 6 Sn 3.32
Sn (0.0000, 0.3361, 0.7500) [6 per cell]  5 Sc 2.89-3.13

Calculated values
For the volume, the calculation gives 23.40 Å³/atom. The electronic total energy is -0.2177 Ha/atom.

No. 4
## DySc8Sn6 (GGA-PBE)

Data for a relaxed DySc8Sn6 crystal.

Unit cell a=8.5875 b=8.5875 c=18.4739 alpha=90.00 beta=90.00 gamma=120.00
With the nearest neighbours (Å) after each atom.
Space group R-3 (No. 148, hexagonal axes)
Inequivalent atoms, fractional coordinates:
Dy (0.0000, 0.0000, 0.0000) [3 per cell]  6 Sn 3.18, 6 Sc 3.45
Sc (0.0000, 0.0000, 0.3331) [6 per cell]  6 Sn 3.11, 6 Sc 3.47-3.48
Sc (0.0002, 0.3311, 0.1058) [18 per cell]  5 Sn 2.91-3.23
Sn (0.9999, 0.3398, 0.9311) [18 per cell]  7 Sc 2.91-3.23, 1 Dy 3.18

Calculated values
For the volume, the calculation gives 26.22 Å³/atom. The electronic total energy is -0.2113 Ha/atom.

No. 5
## Dy8Sc2Sn (GGA-PBE)

Data for a relaxed Dy8Sc2Sn crystal.

Unit cell a=17.5989 b=4.8437 c=7.7799 alpha=90.00 beta=105.88 gamma=90.00
With the nearest neighbours (Å) after each atom.
Space group C2/m (No. 12)
Inequivalent atoms, fractional coordinates:
Dy (0.0454, 0.0000, 0.2267) [4 per cell]  1 Sc 3.42, 9 Dy 3.42-3.52, 2 Sn 3.46
Dy (0.0937, 0.5000, 0.9450) [4 per cell]  3 Sc 3.37-3.42, 8 Dy 3.39-3.63, 1 Sn 3.40
Dy (0.1383, 0.0000, 0.6837) [4 per cell]  7 Dy 3.39-3.49, 3 Sc 3.39-3.45, 2 Sn 3.45
Dy (0.1810, 0.5000, 0.4088) [4 per cell]  8 Dy 3.42-3.51, 1 Sn 3.45, 3 Sc 3.46-3.51
Sc (0.2237, 0.0000, 0.1310) [4 per cell]  10 Dy 3.37-3.51, 2 Sc 3.45
Sn (0.0000, 0.5000, 0.5000) [2 per cell]  12 Dy 3.40-3.46

Calculated values
For the volume, the calculation gives 28.99 Å³/atom. The electronic total energy is -0.1828 Ha/atom.

No. 6
## DyScTlSn (GGA-PBE)

Data for a relaxed DyScTlSn crystal.

Unit cell a=7.3960 b=7.3960 c=7.3960 alpha=90.00 beta=90.00 gamma=90.00
With the nearest neighbours (Å) after each atom.
Space group F-43m (No. 216)
Inequivalent atoms, fractional coordinates:

**Job**
Please set down everything above exactly.

**Worked solution**
This record from Alexandria describes BaOsAu2Br after structural relaxation. The functional is GGA-PBE.

Calculated values
formation energy without anion corrections	0.211	eV per atom
DFT total energy	-4.065	eV per atom

abc: 4.977 4.977 6.531
angles: 90.00 90.00 90.00
Element x y z (fractional)
1 Ba 0.000 0.000 0.000
2 Os 0.000 0.000 0.500
3 Au 0.000 0.500 0.500
4 Au 0.500 0.000 0.500
5 Br 0.500 0.500 0.000

~~~~~

No. 1
## DySc3Sn3 (GGA-PBE)

Data for a relaxed DySc3Sn3 crystal.

Unit cell a=8.6896 b=8.6896 c=5.2079 alpha=90.00 beta=90.00 gamma=120.00
With the nearest neighbours (Å) after each atom.
Space group P6_3/m (No. 176)
Inequivalent atoms, fractional coordinates:
Dy (0.3333, 0.6667, 0.2500) [2 per cell]  9 Sn 3.18-3.35, 3 Sc 3.40
Sc (0.0094, 0.7773, 0.2500) [6 per cell]  3 Sn 2.87-3.08
Sn (0.0752, 0.6303, 0.7500) [6 per cell]  3 Sc 2.87-3.08, 1 Dy 3.18

Calculated values
For the volume, the calculation gives 24.33 Å³/atom. The electronic total energy is -0.2061 Ha/atom.

No. 2
## DyScSn2 (GGA-PBE)

Data for a relaxed DyScSn2 crystal.

Unit cell a=4.7415 b=4.7415 c=4.3728 alpha=90.00 beta=90.00 gamma=90.00
With the nearest neighbours (Å) after each atom.
Space group P4/mmm (No. 123)
Inequivalent atoms, fractional coordinates:
Dy (0.0000, 0.0000, 0.0000) [1 per cell]  8 Sn 3.23, 4 Sc 3.35
Sc (0.5000, 0.5000, 0.0000) [1 per cell]  8 Sn 3.23, 4 Dy 3.35
Sn (0.0000, 0.5000, 0.5000) [2 per cell]  4 Dy 3.23, 4 Sc 3.23, 4 Sn 3.35

Calculated values
For the volume, the calculation gives 24.58 Å³/atom. The electronic total energy is -0.1950 Ha/atom.

No. 3
## DySc5Sn3 (GGA-PBE)

Data for a relaxed DySc5Sn3 crystal.

Unit cell a=8.8076 b=8.8076 c=6.2699 alpha=90.00 beta=90.00 gamma=120.00
With the nearest neighbours (Å) after each atom.
Space group P6_3/mcm (No. 193)
Inequivalent atoms, fractional coordinates:
Dy (0.0000, 0.0000, 0.0000) [2 per cell]  2 Dy 3.13, 6 Sc 3.35, 6 Sn 3.35
Sc (0.0000, 0.3358, 0.2500) [6 per cell]  5 Sn 2.89-3.13
Sc (0.3333, 0.6667, 0.0000) [4 per cell]  8 Sc 3.13-3.32, 6 Sn 3.32
Sn (0.0000, 0.3361, 0.7500) [6 per cell]  5 Sc 2.89-3.13

Calculated values
For the volume, the calculation gives 23.40 Å³/atom. The electronic total energy is -0.2177 Ha/atom.

No. 4
## DySc8Sn6 (GGA-PBE)

Data for a relaxed DySc8Sn6 crystal.

Unit cell a=8.5875 b=8.5875 c=18.4739 alpha=90.00 beta=90.00 gamma=120.00
With the nearest neighbours (Å) after each atom.
Space group R-3 (No. 148, hexagonal axes)
Inequivalent atoms, fractional coordinates:
Dy (0.0000, 0.0000, 0.0000) [3 per cell]  6 Sn 3.18, 6 Sc 3.45
Sc (0.0000, 0.0000, 0.3331) [6 per cell]  6 Sn 3.11, 6 Sc 3.47-3.48
Sc (0.0002, 0.3311, 0.1058) [18 per cell]  5 Sn 2.91-3.23
Sn (0.9999, 0.3398, 0.9311) [18 per cell]  7 Sc 2.91-3.23, 1 Dy 3.18

Calculated values
For the volume, the calculation gives 26.22 Å³/atom. The electronic total energy is -0.2113 Ha/atom.

No. 5
## Dy8Sc2Sn (GGA-PBE)

Data for a relaxed Dy8Sc2Sn crystal.

Unit cell a=17.5989 b=4.8437 c=7.7799 alpha=90.00 beta=105.88 gamma=90.00
With the nearest neighbours (Å) after each atom.
Space group C2/m (No. 12)
Inequivalent atoms, fractional coordinates:
Dy (0.0454, 0.0000, 0.2267) [4 per cell]  1 Sc 3.42, 9 Dy 3.42-3.52, 2 Sn 3.46
Dy (0.0937, 0.5000, 0.9450) [4 per cell]  3 Sc 3.37-3.42, 8 Dy 3.39-3.63, 1 Sn 3.40
Dy (0.1383, 0.0000, 0.6837) [4 per cell]  7 Dy 3.39-3.49, 3 Sc 3.39-3.45, 2 Sn 3.45
Dy (0.1810, 0.5000, 0.4088) [4 per cell]  8 Dy 3.42-3.51, 1 Sn 3.45, 3 Sc 3.46-3.51
Sc (0.2237, 0.0000, 0.1310) [4 per cell]  10 Dy 3.37-3.51, 2 Sc 3.45
Sn (0.0000, 0.5000, 0.5000) [2 per cell]  12 Dy 3.40-3.46

Calculated values
For the volume, the calculation gives 28.99 Å³/atom. The electronic total energy is -0.1828 Ha/atom.

No. 6
## DyScTlSn (GGA-PBE)

Data for a relaxed DyScTlSn crystal.

Unit cell a=7.3960 b=7.3960 c=7.3960 alpha=90.00 beta=90.00 gamma=90.00
With the nearest neighbours (Å) after each atom.
Space group F-43m (No. 216)
Inequivalent atoms, fractional coordinates: